Review: Thief 4 (Xbox One)

Upon its release in 1998, Thief: The Dark Project rapidly gained critical acclaim for its defiance of well established video game conventions. Praised for emphasizing stealth over combat and allowing players a choice in how to complete goals, the series has become a patron saint of the modern stealth game, paving the way for an entire emerging genre. A full nine years after the release of its last entry in the series, how does Thief hold up in a market now flooded with derivations?

Thief features the return of Garrett the Master Thief, lead character of the previous three installments. After an extended absence following a heist gone wrong, Garrett returns to The City to find it under the rule of The Baron, an oppressive leader whose Watch guards terrorize and control the citizens while protecting the wealthy upper class. As a plague sweeps the streets and revolution stirs amongst the people, Garrett soon becomes entangled in a nasty battle over a mysterious stone, a highly sought after source of power responsible for the demise of his former protege. In an existence fraught with greed and selfishness, where will Garrett stand as the city around him devolves into chaos?

The Thief experience as many fans know it is largely unchanged. The game sticks close its stealth roots, limiting weapons and discouraging direct combat; the few weapons and tools available are mostly non-lethal in nature.  A variety of specialty arrows aid in navigating heights or subduing guards; bottles and glasses can be thrown to distract them. A blackjack is used to knock out NPCs while a razor and wrench disarm traps and open hidden paths to vendors under the streets of The City. Enemies are alerted to Garrett’s presence by a variety of clues, reacting to shifting shadows, heavy or rapid footsteps, and changes in the environment (like looted boxes or missing guards). Birds will squawk at sudden movement and dogs will respond to his scent and bark. There are many options for overcoming obstacles but evasion is prized above all.

An intuitive power known as Focus allows Garrett to sense light sources, hidden traps, high value loot, and active items in the nearby area. As gold is earned and missions completed, Focus ability points can be invested to receive additional skills, from heightened senses to increased health and agility. With a new move known as “swoop”, Garrett can now rush forward in a single fluid movement, flitting with enough grace and speed to evade detection even in close quarters.

As the player discretely navigates the many rooftops of The City, pickpocketing citizens and snatching hidden trinkets, upgrades can be purchased with Garrett’s growing stash of coin, from tools to Focus ability points to trinkets that provide boosts and bonuses. Following each mission, the screen lists in-game statistics, noting the time it took to complete the chapter, the number of times you killed, were detected by, or knocked out a guard, and the percentage of loot items collected, among other things. The player is awarded the title of Ghost, Opportunist, or Predator based on their approach, reflecting if they chose aggression, evasion, or a combination of both. Each chapter can be replayed to improve the final score, which is also tracked by online leaderboards.

This was my first experience with Thief but I’ve played many of the games it influenced over the past fifteen years, including two that it directly inspired: Dishonored and Mark of the Ninja. The latter was a well done take on the stealth conventions established by Thief, adapting to the sensibilities of the 2D side scrolling platform. The former, which more closely resembled a traditional Thief game, I abandoned after only four hours. I’d always attributed this to my oversaturation with The Elder Scrolls: Skyrim and the hundreds of hours I’d spent creeping around in caverns full of Bandits, but maybe my subconscious knew what my conscious would acknowledge later: stealth games are at their best in simplest form. No fancy doo-dads or magical powers, just a light pair of limbs and a honed sense of intuition. Where Dishonored failed, Thief continues to achieve. Despite the use of its conventions across many AAA titles, the game remains a challenge. The tedium of crawling past countless armed enemies is far outweighed by the satisfaction of successfully pulling it off. Count this as among the few games that manages to be fun because of, not despite, its difficulty level.

In other areas, Thief is less than perfect. I am disappointed by the story and script.  A major problem with stealth games is that there are few scenarios that believably justify the player’s need to constantly avoid detection, and those situations generally rely on the presence of guards. That’s not Thief’s fault but rather, the reality of the genre. However, combined with the plague backstory, the first few hours of Thief feel a lot like Dishonored and frankly there’s only so much banal guard chatter and plague propaganda that one girl can take.

That could perhaps be overlooked if not for the abysmal dialogue. Some of it is so poorly written it’s already become a punchline in my two-person household: “‘I’ve never seen this lock before. There must be a key to fit.’” Other scenes are marred by hollow, ambiguous lines as cliched as the story itself.

On the technical side, the game is solid. I’m very pleased with the sensitivity of the analog sticks on the Xbox One controller. The precision is flawless and allows for impeccable control. Delicately creeping behind a set of guards, grappling up the side of a building, and swooping into the shadows provides a self satisfied thrill. The rumble feature is also well integrated, and very helpful when picking locks or searching for loot boxes behind paintings.

== The page is interrupted by crystal structures ==
____________
Crystalline AlV2Mo at its relaxed geometry, computed with GGA-PBE.

## Properties
The formation energy is -0.7 eV/f.u. As for the magnetic moment: 0.00 μB per formula unit.

Cell: 3.262 4.202 4.202 Å, 90.00 90.00 90.00°
Atoms (fractional coordinates):
Mo 0.500 0.000 0.000
Al 0.500 0.500 0.500
V 0.000 0.000 0.500
V 0.000 0.500 0.000

~~~~~

[1]
Density functional theory data (GGA-PBE) for crystalline NbAgPb2 at its relaxed geometry.

Lattice parameters (Å, degrees): 5.136 5.136 5.136 60.00 60.00 60.00
Positions (direct):
Nb: 0.000 0.000 0.000
Ag: 0.250 0.250 0.250
Pb: 0.500 0.500 0.500
Pb: 0.750 0.750 0.750

Output
VASP energy in eV/atom: -4.4378
Theoretical density in g cm⁻³: 10.66
SG: F-43m (216)

[2]
Density functional theory data (GGA-PBE) for crystalline NbAg2Pb at its relaxed geometry.

Lattice parameters (Å, degrees): 4.808 4.808 4.808 60.00 60.00 60.00
Positions (direct):
Nb: 0.000 0.000 0.000
Ag: 0.500 0.500 0.500
Ag: 0.750 0.750 0.750
Pb: 0.250 0.250 0.250

Output
VASP energy in eV/atom: -4.4137
Theoretical density in g cm⁻³: 10.90
SG: F-43m (216)

[3]
Density functional theory data (GGA-PBE) for crystalline NbAgPb at its relaxed geometry.

Lattice parameters (Å, degrees): 4.692 4.692 4.692 60.00 60.00 60.00
Positions (direct):
Nb: 0.000 0.000 0.000
Ag: 0.500 0.500 0.500
Pb: 0.750 0.750 0.750

Output
VASP energy in eV/atom: -4.7387
Theoretical density in g cm⁻³: 9.28
SG: F-43m (216)

[4]
Density functional theory data (GGA-PBE) for crystalline Nb2AgPbS4 at its relaxed geometry.

Lattice parameters (Å, degrees): 3.374 3.374 16.890 90.00 90.00 120.00
Positions (direct):
Nb: 0.333 0.667 0.265
Nb: 0.667 0.333 0.735
Ag: 0.000 0.000 0.500
Pb: 0.000 0.000 0.000
S: 0.000 0.000 0.173
S: 0.000 0.000 0.357
S: 0.000 0.000 0.643
S: 0.000 0.000 0.827

Output
VASP energy in eV/atom: -6.2410
Theoretical density in g cm⁻³: 6.28
SG: P-3m1 (164)

[5]
Density functional theory data (GGA-PBE) for crystalline NbAgPd at its relaxed geometry.

Lattice parameters (Å, degrees): 4.361 4.361 4.361 60.00 60.00 60.00
Positions (direct):
Nb: 0.000 0.000 0.000
Ag: 0.500 0.500 0.500
Pd: 0.750 0.750 0.750

Output
Theoretical density in g cm⁻³: 8.70
SG: F-43m (216)
ΔH_f (0 K) in eV per atom: 0.405

[6]
Density functional theory data (GGA-PBE) for crystalline NbAgPd2 at its relaxed geometry.

Lattice parameters (Å, degrees): 4.524 4.524 4.524 60.00 60.00 60.00
Positions (direct):
Nb: 0.000 0.000 0.000
Ag: 0.250 0.250 0.250
Pd: 0.500 0.500 0.500
Pd: 0.750 0.750 0.750

Output
Theoretical density in g cm⁻³: 10.49
SG: F-43m (216)
ΔH_f (0 K) in eV per atom: 0.038

[7]
Density functional theory data (GGA-PBE) for crystalline NbAgPd at its relaxed geometry.

Lattice parameters (Å, degrees): 4.397 4.397 4.397 60.00 60.00 60.00
Positions (direct):
Nb: 0.000 0.000 0.000
Ag: 0.750 0.750 0.750
Pd: 0.250 0.250 0.250

Output
Theoretical density in g cm⁻³: 8.49
SG: F-43m (216)
ΔH_f (0 K) in eV per atom: 0.615

[8]
____________

Overall, Thief is a great play. The script flaws, while annoying, are forgivable in light of the many hours of quality gameplay. It’s not perfect but it’s an enjoyable challenge that will go down as one of the better gaming experiences of 2014.

Final Verdict


A copy of the game was provided by the publisher for the purpose of this review.